Search results

  1. J

    Global Components did it again :)

    I think retro games are like a good wine: They 're getting better each year i wait for the bottle opener ;)
  2. J

    1GHz units, Classic units, repairs and TV-Out Cables (2012-08-24)

    Feel the progress: IMO its time for a status update on the pandora homepage, thanks.
  3. J

    ... and production still is reliable and moving forward :) (2012-05-11)

    Please update the numbers on the homepage on the 1st of July. Cause seeing progress makes the waiting easier.
  4. J

    Release Hopefully my entry: CPUVextor, a clone of escapeVektor

    The problem is I just have realised that the game principle isn't very entertaining. First I was impressed from the original game as it presents nice retro 3d graphics which mine does not provide. Only the combination of these kind of graphics and the game principle might make it interesting. To...
  5. J

    Release Hopefully my entry: CPUVextor, a clone of escapeVektor

    No decision yet. Will also wait for the competition's result. Please unterstand that I don't want to make a game that only a few people really like.
  6. J

    Release Hopefully my entry: CPUVextor, a clone of escapeVektor

    Hello and thanks for the further feedback. foxblock, the crash you got everyone would get when at this point. The game tries to read more level data but there's no more available because I just stopped to make more levels. Since a few days the update is in the repo! Yes, you're absolutely...
  7. J

    Rebirth Competition Release Thread

    Ok, but please let us know: why does the voting start a whole week later than pronounced?
  8. J

    Release Hopefully my entry: CPUVextor, a clone of escapeVektor

    Ok, here's an easter update. Things that have changed: * Animated background * Save games are working * Basic speed slightly increased * Boost speed for every level * Better animation of summary screen * Pandora action buttons mapped Still to do: * More and better levels (would...
  9. J

    Release Hopefully my entry: CPUVextor, a clone of escapeVektor

    At easter I'll begin to make an update. Then the key mapping will be changed. To continue a game isn't possible at the moment, will also come with the update.
  10. J

Misplaced data records.
=====
## Zr4Pt3 (PBE)

Data for crystalline Zr4Pt3 at its relaxed geometry.

Summary:
Energy above the lowest structure with this stoichiometry = 13.1 meV/atom
Crystal system = hexagonal
Formation energy from the elements = -0.8085 eV/atom

a b c (Å): 5.4052 5.4052 5.2687
angles (deg): 90.00 90.00 120.00
Fractional positions:
Zr  0.0000  0.0000  0.2491
Zr  0.0000  0.0000  0.7509
Zr  0.3333  0.6667  0.0000
Zr  0.6667  0.3333  0.0000
Pt  0.0000  0.5000  0.5000
Pt  0.5000  0.0000  0.5000
Pt  0.5000  0.5000  0.5000

## AcPuZnGe (PBE)

Data for crystalline AcPuZnGe at its relaxed geometry.

Summary:
Crystal system = cubic
Formation energy from the elements = -0.2765 eV/atom

a b c (Å): 5.3089 5.3089 5.3089
angles (deg): 60.00 60.00 60.00
Fractional positions:
Ac  0.0000  0.0000  0.0000
Pu  0.5000  0.5000  0.5000
Zn  0.2500  0.2500  0.2500
Ge  0.7500  0.7500  0.7500

## Be2CdSi2 (PBE)

Data for crystalline Be2CdSi2 at its relaxed geometry.

Summary:
Crystal system = tetragonal
Uncorrected formation energy = 0.2919 eV/atom

a b c (Å): 5.6587 5.6587 5.6587
angles (deg): 140.08 140.08 57.74
Fractional positions:
Be  0.2500  0.7500  0.5000
Be  0.7500  0.2500  0.5000
Cd  0.0000  0.0000  0.0000
Si  0.3804  0.3804  0.0000
Si  0.6196  0.6196  0.0000

## LiTe2Au (PBE)

Data for crystalline LiTe2Au at its relaxed geometry.

Summary:
Crystal system = orthorhombic
Uncorrected formation energy = -0.3744 eV/atom

a b c (Å): 6.7870 6.7870 6.7870
angles (deg): 145.05 139.88 54.24
Fractional positions:
Li  0.0000  0.0000  0.0000
Te  0.3511  0.8511  0.5000
Te  0.6489  0.1489  0.5000
Au  0.5000  0.5000  0.0000

no.,density of states at the Fermi level (states/eV per cell)
1,5.4
2,9.9
3,1.0
4,0.5

----------

No. 1
# Y2Sn2Te (PBE-GGA, relaxed)
# Total energy (eV per atom): -5.61
# ρ (g/cm³): 6.12
# Space group: P4/mbm, No. 127
# Total moment (Bohr magnetons per cell): 0.00
# Energy relative to the elements, uncorrected (meV per atom): -793
# Fermi-level density of states (states/eV/f.u.): 2.21
data_Y2Sn2Te
_symmetry_space_group_name_H-M 'P 1'
_symmetry_Int_Tables_number 1
_cell_length_a 8.136
_cell_length_b 8.136
_cell_length_c 4.447
_cell_angle_alpha 90.00
_cell_angle_beta 90.00
_cell_angle_gamma 90.00
loop_
_symmetry_equiv_pos_as_xyz
'x,y,z'
loop_
_atom_site_label
_atom_site_type_symbol
_atom_site_fract_x
_atom_site_fract_y
_atom_site_fract_z
Y1 Y 0.176 0.324 0.000
Y2 Y 0.324 0.824 0.000
Y3 Y 0.676 0.176 0.000
Y4 Y 0.824 0.676 0.000
Sn1 Sn 0.123 0.623 0.500
Sn2 Sn 0.377 0.123 0.500
Sn3 Sn 0.623 0.877 0.500
Sn4 Sn 0.877 0.377 0.500
Te1 Te 0.000 0.000 0.000
Te2 Te 0.500 0.500 0.000


No. 2
# K2CdAu2 (PBE-GGA, relaxed)
# Energy of formation from the pure elements (eV per atom): -0.196
# Total energy (eV per atom): -2.13
# ρ (g/cm³): 5.66
# Space group: I4/mmm, No. 139
# Total moment (Bohr magnetons per cell): 0.00
# Fermi-level density of states (states/eV/f.u.): 2.09
data_K2CdAu2
_symmetry_space_group_name_H-M 'P 1'
_symmetry_Int_Tables_number 1
_cell_length_a 6.140
=====

    Release Hopefully my entry: CPUVextor, a clone of escapeVektor

    Would be worth a try. I mostly prefer chip music in module sound format because it's so small and wouldn't blow up the filesize ten times. is a great source but I don't know how about the licences...
  11. J

    Release Hopefully my entry: CPUVextor, a clone of escapeVektor

    Thank you very much for the nice comments, guys. Good you don't see the code, it's not that nice built because I made all this in a hurry ;) Yes, the initial/basic speed should be really faster, that's my opinion too. Vexktor has a boost feature where it speeds up when you double hit the key...
  12. J

    Release Hopefully my entry: CPUVextor, a clone of escapeVektor

    Hello, I just thrown in my very unfinished game. Now here are some screenshots. You'll have to decide if you like it. If there's enough positive feedback after release, I'll possibly finish it.
  13. J

    Pandora Rebirth Competition Rules

    Just to be sure, what does this exactly mean? Is the deadline at midnight to the 31st or do we have the whole 31st till midnight?
  14. J

    Release Hopefully my entry: CPUVextor, a clone of escapeVektor

    Not yet. But this one gives a good impression of the game's principle and style.
  15. J

    Release Hopefully my entry: CPUVextor, a clone of escapeVektor

    Hello guys, cannot tell for sure if I can manage to have ready in time a playable version of my game CPUVextor, a simple clone of escapeVektor from Nnooo. I love the concept of the game so I decided to make my own version of it. Unfortunately the idea came very late so I started to write the...
  16. J

    Full Speed Nes Emu With Scaling Options?

== These calculated crystals were left in the page by mistake ==
=====
[1]
The following is a PBE-GGA calculation of crystalline TmFePH at its relaxed geometry, from Alexandria.

Cell: 3.7481 3.7481 7.1816 Å, 90.00 90.00 90.00°
Fractional positions:
P (0.0000, 0.5000, 0.8374)
P (0.5000, 0.0000, 0.1626)
Tm (0.0000, 0.5000, 0.3291)
Tm (0.5000, 0.0000, 0.6709)
Fe (0.5000, 0.5000, 0.0000)
Fe (0.0000, 0.0000, 0.0000)
H (0.5000, 0.5000, 0.5000)
H (0.0000, 0.0000, 0.5000)

Summary:
E = -6.370 eV per atom
DOS at the Fermi energy = 5.0 states/eV/cell

[2]
The following is a PBE-GGA calculation of crystalline YFe2PH at its relaxed geometry, from Alexandria.

Cell: 3.5813 5.3540 6.8855 Å, 90.00 90.00 109.54°
Last column: magnetic moment on the atom in μB.
Fractional positions:
H (0.0000, 0.0000, 0.0000)  -0.01
H (0.0000, 0.0000, 0.5000)  -0.01
Fe (0.8289, 0.6578, 0.0585)  1.69
Fe (0.1711, 0.3422, 0.5585)  1.69
Fe (0.1711, 0.3422, 0.9415)  1.69
Fe (0.8289, 0.6578, 0.4415)  1.69
Y (0.5467, 0.0933, 0.2500)  -0.10
Y (0.4533, 0.9067, 0.7500)  -0.10
P (0.2655, 0.5311, 0.2500)  -0.03
P (0.7345, 0.4689, 0.7500)  -0.03

Summary:
E = -7.056 eV per atom
DOS at the Fermi energy = 7.8 states/eV/cell

[3]
The following is a PBE-GGA calculation of crystalline ZrFe2PH at its relaxed geometry, from Alexandria.

Cell: 3.5716 5.1262 6.5396 Å, 90.00 90.00 110.39°
Last column: magnetic moment on the atom in μB.
Fractional positions:
P (0.7246, 0.4492, 0.7500)  -0.02
P (0.2754, 0.5508, 0.2500)  -0.02
Fe (0.1633, 0.3267, 0.5579)  0.86
Fe (0.8367, 0.6733, 0.0579)  0.86
Fe (0.1633, 0.3267, 0.9421)  0.86
Fe (0.8367, 0.6733, 0.4421)  0.86
H (0.0000, 0.0000, 0.5000)  0.00
H (0.0000, 0.0000, 0.0000)  0.00
Zr (0.5577, 0.1154, 0.2500)  -0.14
Zr (0.4423, 0.8846, 0.7500)  -0.14

Summary:
E = -7.448 eV per atom
DOS at the Fermi energy = 10.0 states/eV/cell

[4]
The following is a PBE-GGA calculation of crystalline ZrFePH at its relaxed geometry, from Alexandria.

Cell: 3.6829 3.6829 6.7296 Å, 90.00 90.00 90.00°
Fractional positions:
P (0.0000, 0.5000, 0.8215)
P (0.5000, 0.0000, 0.1785)
H (0.5000, 0.5000, 0.5000)
H (0.0000, 0.0000, 0.5000)
Zr (0.0000, 0.5000, 0.3358)
Zr (0.5000, 0.0000, 0.6642)
Fe (0.5000, 0.5000, 0.0000)
Fe (0.0000, 0.0000, 0.0000)

Summary:
E = -7.273 eV per atom
DOS at the Fermi energy = 4.0 states/eV/cell

[5]
The following is a PBE-GGA calculation of crystalline PaFeH4 at its relaxed geometry, from Alexandria.

Cell: 3.9160 4.3769 6.1134 Å, 90.00 108.68 90.00°
Last column: magnetic moment on the atom in μB.
Fractional positions:
H (0.1999, 0.0246, 0.3998)  0.00
H (0.8001, 0.5246, 0.6002)  0.00
H (0.8001, 0.9754, 0.6002)  0.00
H (0.4215, 0.2500, 0.8429)  0.00
H (0.0000, 0.5000, 0.0000)  0.00
H (0.1999, 0.4754, 0.3998)  0.00
H (0.0000, 0.0000, 0.0000)  0.00
H (0.5785, 0.7500, 0.1571)  0.00
Pa (0.6328, 0.2500, 0.2656)  -0.51
Pa (0.3672, 0.7500, 0.7344)  -0.51
Fe (0.1048, 0.7500, 0.2096)  1.16
Fe (0.8952, 0.2500, 0.7904)  1.16

Summary:
Energy above the most stable polymorph in this dataset = 0.00 eV per formula unit
=====

    I also look for a perfect NES emulator for the Pandora. So far there's no one IMO. With perfect I do not only mean full speed and high compatibility, also hardware scaling and perfect vsync. The latter I really miss.
  17. J

    Steht die Produktion?

    Ich spiele auch mit dem Gedanken mir eine Premium zu gönnen. Immerhin kommt ja bei euch überhapt kein geld rein, da alle p&|a schon vorher bezahlt wurden. Wenn jetzt Sachen dazugekauft und ausgebessert werden müssen, woher nehmt ihr denn dann das ganze geld? Ist schon verständlich dass es da...
  18. J

    Anzahl Premium / Rest Batch 2 / Preis Batch 3

    p&|a p&|a p&|a Ich wuerde gerne was Coden fuer die Pandora. Muss am Dienstag meine Bachelorarbeit abgeben, dann bin ich erstmal arbetisloser Informatiker. Wie soll ich denn was fuer die pandora proggen wenn ich sie nicht da hab? Klar Crosscompilen aber wo testen? Was mich ein bisschen...
  19. J

    Flash Player On Pandora

    I got a plugin from here. Then I copied this file to /usr/lib/mozilla/plugins and renamed the 51k file to _libswfdecmozilla.so_ and it was done. Now I use the latest Firefox version. Ok, then I tried the game already with the TI plugin and there's no need anyone else does...